_Source_
........
[1]
# PrNd6Se8 (PBE, optimized geometry)
# formation energy without anion corrections = -1.87 eV/atom
data_PrNd6Se8
_cell_length_a 11.935
_cell_length_b 11.935
_cell_length_c 11.935
_cell_angle_alpha 90.00
_cell_angle_beta 90.00
_cell_angle_gamma 90.00
_symmetry_space_group_name_H-M 'F m -3 m'
_symmetry_Int_Tables_number 225
_symmetry_space_group_name_Hall '-F 4 2 3'
loop_
_atom_site_label
_atom_site_fract_x
_atom_site_fract_y
_atom_site_fract_z
Pr1 0.000 0.000 0.000
Nd1 0.000 0.250 0.250
Se1 0.000 0.000 0.254
Se2 0.250 0.250 0.250

---

[2]
# La4ZnRe (PBE, optimized geometry)
# DFT formation energy = 0.93 eV per atom
data_La4ZnRe
_cell_length_a 8.751
_cell_length_b 8.751
_cell_length_c 8.751
_cell_angle_alpha 90.00
_cell_angle_beta 90.00
_cell_angle_gamma 90.00
_symmetry_space_group_name_H-M 'F -4 3 m'
_symmetry_Int_Tables_number 216
_symmetry_space_group_name_Hall 'F -4 2 3'
loop_
_atom_site_label
_atom_site_fract_x
_atom_site_fract_y
_atom_site_fract_z
La1 0.124 0.124 0.124
Zn1 0.000 0.000 0.500
Re1 0.250 0.250 0.750

---

[3]
# DyHo2TmP4 (PBE, optimized geometry)
# DFT formation energy = -1.61 eV per atom
data_DyHo2TmP4
_cell_length_a 6.896
_cell_length_b 3.984
_cell_length_c 6.897
_cell_angle_alpha 90.00
_cell_angle_beta 109.47
_cell_angle_gamma 90.00
_symmetry_space_group_name_H-M 'P 1 2/m 1'
_symmetry_Int_Tables_number 10
loop_
_symmetry_equiv_pos_as_xyz
'x,y,z'
'-x,-y,-z'
'-x,y,-z'
'x,-y,z'
loop_
_atom_site_label
_atom_site_fract_x
_atom_site_fract_y
_atom_site_fract_z
Dy1 0.000 0.000 0.000
Ho1 0.500 0.000 0.500
Ho2 0.500 0.500 0.000
Tm1 0.000 0.500 0.500
P1 0.249 0.000 0.748
P2 0.250 0.500 0.252

---

[4]
# K2GeH6Ru (PBE, optimized geometry)
# E_tot = -72.10 eV per cell
data_K2GeH6Ru
_cell_length_a 5.497
_cell_length_b 5.497
_cell_length_c 7.753
_cell_angle_alpha 90.00
_cell_angle_beta 90.00
_cell_angle_gamma 90.00
_symmetry_space_group_name_H-M 'I 4/m m m'
_symmetry_Int_Tables_number 139
_symmetry_space_group_name_Hall '-I 4 2'
loop_
_atom_site_label
_atom_site_fract_x
_atom_site_fract_y
_atom_site_fract_z
K1 0.000 0.500 0.250
Ge1 0.000 0.000 0.000
H1 0.000 0.000 0.269
H2 0.230 0.230 0.500
Ru1 0.000 0.000 0.500

---

[5]
# NbPdSI (PBE, optimized geometry)
# formation energy without anion corrections = -0.26 eV/atom
# energy relative to the lowest polymorph listed for this composition = 80.4 meV per atom
data_NbPdSI
_cell_length_a 7.903
_cell_length_b 3.466
_cell_length_c 6.976
_cell_angle_alpha 90.00
_cell_angle_beta 111.45
_cell_angle_gamma 90.00
_symmetry_space_group_name_H-M 'C 1 m 1'
_symmetry_Int_Tables_number 8
loop_
_symmetry_equiv_pos_as_xyz
'x,y,z'
'x,-y,z'
'x+1/2,y+1/2,z'
'x+1/2,-y+1/2,z'
loop_
_atom_site_label
_atom_site_fract_x
_atom_site_fract_y
_atom_site_fract_z
Nb1 0.000 0.000 0.000
Pd1 0.491 0.500 0.603
S1 0.261 0.000 0.888
I1 0.139 0.500 0.347

---

[6]
# Ba2GaMoI (PBE, optimized geometry)
# formation energy without anion corrections = 0.72 eV/atom
data_Ba2GaMoI
_cell_length_a 6.409
_cell_length_b 6.409
_cell_length_c 5.877
_cell_angle_alpha 90.00
_cell_angle_beta 90.00
_cell_angle_gamma 90.00
_symmetry_space_group_name_H-M 'P 4/m m m'
_symmetry_Int_Tables_number 123
_symmetry_space_group_name_Hall '-P 4 2'
loop_
_atom_site_label
_atom_site_fract_x
_atom_site_fract_y
_atom_site_fract_z
Ba1 0.000 0.500 0.000
Ga1 0.000 0.000 0.000
Mo1 0.500 0.500 0.500
I1 0.000 0.000 0.500

---

[7]
# CoRe2W (PBE, optimized geometry)
# energy relative to the lowest polymorph listed for this composition = 203.6 meV per atom
# DFT formation energy = 0.25 eV per atom
data_CoRe2W
_cell_length_a 6.143
_cell_length_b 6.143
_cell_length_c 6.143
_cell_angle_alpha 90.00
_cell_angle_beta 90.00
_cell_angle_gamma 90.00
_symmetry_space_group_name_H-M 'F -4 3 m'
_symmetry_Int_Tables_number 216
_symmetry_space_group_name_Hall 'F -4 2 3'
loop_
_atom_site_label
_atom_site_fract_x
_atom_site_fract_y
_atom_site_fract_z
Co1 0.000 0.000 0.000
Re1 0.000 0.000 0.500
Re2 0.250 0.250 0.250
W1 0.250 0.250 0.750

---

[8]
........

_To do_
What is needed: duplicate the block earlier on exactly.

_Done_
[1]
# PrNd6Se8 (PBE, optimized geometry)
# formation energy without anion corrections = -1.87 eV/atom
data_PrNd6Se8
_cell_length_a 11.935
_cell_length_b 11.935
_cell_length_c 11.935
_cell_angle_alpha 90.00
_cell_angle_beta 90.00
_cell_angle_gamma 90.00
_symmetry_space_group_name_H-M 'F m -3 m'
_symmetry_Int_Tables_number 225
_symmetry_space_group_name_Hall '-F 4 2 3'
loop_
_atom_site_label
_atom_site_fract_x
_atom_site_fract_y
_atom_site_fract_z
Pr1 0.000 0.000 0.000
Nd1 0.000 0.250 0.250
Se1 0.000 0.000 0.254
Se2 0.250 0.250 0.250

---

[2]
# La4ZnRe (PBE, optimized geometry)
# DFT formation energy = 0.93 eV per atom
data_La4ZnRe
_cell_length_a 8.751
_cell_length_b 8.751
_cell_length_c 8.751
_cell_angle_alpha 90.00
_cell_angle_beta 90.00
_cell_angle_gamma 90.00
_symmetry_space_group_name_H-M 'F -4 3 m'
_symmetry_Int_Tables_number 216
_symmetry_space_group_name_Hall 'F -4 2 3'
loop_
_atom_site_label
_atom_site_fract_x
_atom_site_fract_y
_atom_site_fract_z
La1 0.124 0.124 0.124
Zn1 0.000 0.000 0.500
Re1 0.250 0.250 0.750

---

[3]
# DyHo2TmP4 (PBE, optimized geometry)
# DFT formation energy = -1.61 eV per atom
data_DyHo2TmP4
_cell_length_a 6.896
_cell_length_b 3.984
_cell_length_c 6.897
_cell_angle_alpha 90.00
_cell_angle_beta 109.47
_cell_angle_gamma 90.00
_symmetry_space_group_name_H-M 'P 1 2/m 1'
_symmetry_Int_Tables_number 10
loop_
_symmetry_equiv_pos_as_xyz
'x,y,z'
'-x,-y,-z'
'-x,y,-z'
'x,-y,z'
loop_
_atom_site_label
_atom_site_fract_x
_atom_site_fract_y
_atom_site_fract_z
Dy1 0.000 0.000 0.000
Ho1 0.500 0.000 0.500
Ho2 0.500 0.500 0.000
Tm1 0.000 0.500 0.500
P1 0.249 0.000 0.748
P2 0.250 0.500 0.252

---

[4]
# K2GeH6Ru (PBE, optimized geometry)
# E_tot = -72.10 eV per cell
data_K2GeH6Ru
_cell_length_a 5.497
_cell_length_b 5.497
_cell_length_c 7.753
_cell_angle_alpha 90.00
_cell_angle_beta 90.00
_cell_angle_gamma 90.00
_symmetry_space_group_name_H-M 'I 4/m m m'
_symmetry_Int_Tables_number 139
_symmetry_space_group_name_Hall '-I 4 2'
loop_
_atom_site_label
_atom_site_fract_x
_atom_site_fract_y
_atom_site_fract_z
K1 0.000 0.500 0.250
Ge1 0.000 0.000 0.000
H1 0.000 0.000 0.269
H2 0.230 0.230 0.500
Ru1 0.000 0.000 0.500

---

[5]
# NbPdSI (PBE, optimized geometry)
# formation energy without anion corrections = -0.26 eV/atom
# energy relative to the lowest polymorph listed for this composition = 80.4 meV per atom
data_NbPdSI
_cell_length_a 7.903
_cell_length_b 3.466
_cell_length_c 6.976
_cell_angle_alpha 90.00
_cell_angle_beta 111.45
_cell_angle_gamma 90.00
_symmetry_space_group_name_H-M 'C 1 m 1'
_symmetry_Int_Tables_number 8
loop_
_symmetry_equiv_pos_as_xyz
'x,y,z'
'x,-y,z'
'x+1/2,y+1/2,z'
'x+1/2,-y+1/2,z'
loop_
_atom_site_label
_atom_site_fract_x
_atom_site_fract_y
_atom_site_fract_z
Nb1 0.000 0.000 0.000
Pd1 0.491 0.500 0.603
S1 0.261 0.000 0.888
I1 0.139 0.500 0.347

---

[6]
# Ba2GaMoI (PBE, optimized geometry)
# formation energy without anion corrections = 0.72 eV/atom
data_Ba2GaMoI
_cell_length_a 6.409
_cell_length_b 6.409
_cell_length_c 5.877
_cell_angle_alpha 90.00
_cell_angle_beta 90.00
_cell_angle_gamma 90.00
_symmetry_space_group_name_H-M 'P 4/m m m'
_symmetry_Int_Tables_number 123
_symmetry_space_group_name_Hall '-P 4 2'
loop_
_atom_site_label
_atom_site_fract_x
_atom_site_fract_y
_atom_site_fract_z
Ba1 0.000 0.500 0.000
Ga1 0.000 0.000 0.000
Mo1 0.500 0.500 0.500
I1 0.000 0.000 0.500

---

[7]
# CoRe2W (PBE, optimized geometry)
# energy relative to the lowest polymorph listed for this composition = 203.6 meV per atom
# DFT formation energy = 0.25 eV per atom
data_CoRe2W
_cell_length_a 6.143
_cell_length_b 6.143
_cell_length_c 6.143
_cell_angle_alpha 90.00
_cell_angle_beta 90.00
_cell_angle_gamma 90.00
_symmetry_space_group_name_H-M 'F -4 3 m'
_symmetry_Int_Tables_number 216
_symmetry_space_group_name_Hall 'F -4 2 3'
loop_
_atom_site_label
_atom_site_fract_x
_atom_site_fract_y
_atom_site_fract_z
Co1 0.000 0.000 0.000
Re1 0.000 0.000 0.500
Re2 0.250 0.250 0.250
W1 0.250 0.250 0.750

---

[8]